
Altrouge initiated a rebellion, rallying the True Ancestors to launch an attack against the True Ancestors and Dead Apostles who had pledged allegiance to Crimson Moon.

It was not until Altrouge unfurled the banner of rebellion that those who had submitted to Crimson Moon, the True Ancestors and Dead Apostles alike, realized her long-standing rebellious intentions. By then, she had already amassed a formidable army of insurgents!

Nevertheless, the White Wing Lord, Trhvmn Ortenrosse, refused to yield.

His unwavering loyalty to his King kept him resolute, standing proudly amidst the rebel.

Trusting in the might of his King Crimson Moon, he knew that as long as he endured the onslaught of the rebels and awaited his king's intervention, the moment of reckoning for these insurgents was inevitable.

"Oh my! What is that!?"

"What is it—?"

"What does the King... what does he want to do?"

The True Ancestors and Dead Apostles were taken aback, their voices echoing in disbelief as they ceased their actions one by one.

• What comes next are materials data, not part of the entry:
# Si23Tc3

Si23Tc3 after structural relaxation (PBE-GGA, Alexandria via LeMat-Bulk).

Unit cell a=10.103 b=10.103 c=10.103 alpha=90.00 beta=90.00 gamma=90.00
Last column: magnetic moment on the atom in μB.
Fractional coordinates of all 52 atoms:
Tc: 0.250 0.000 0.500  3.44
Tc: 0.750 0.000 0.500  3.44
Tc: 0.500 0.250 0.000  3.44
Tc: 0.000 0.500 0.750  3.44
Tc: 0.000 0.500 0.250  3.44
Tc: 0.500 0.750 0.000  3.44
Si: 0.189 0.616 0.500  0.02
Si: 0.384 0.500 0.811  0.02
Si: 0.316 0.316 0.684  0.04
Si: 0.184 0.184 0.184  0.04
Si: 0.816 0.184 0.816  0.04
Si: 0.500 0.000 0.750  0.03
Si: 0.000 0.116 0.311  0.02
Si: 0.311 0.000 0.884  0.02
Si: 0.816 0.184 0.184  0.04
Si: 0.184 0.816 0.184  0.04
Si: 0.000 0.884 0.311  0.02
Si: 0.500 0.811 0.384  0.02
Si: 0.116 0.311 0.000  0.02
Si: 0.311 0.000 0.116  0.02
Si: 0.689 0.000 0.116  0.02
Si: 0.689 0.000 0.884  0.02
Si: 0.000 0.750 0.500  0.03
Si: 0.811 0.616 0.500  0.02
Si: 0.616 0.500 0.189  0.02
Si: 0.816 0.816 0.816  0.04
Si: 0.316 0.316 0.316  0.04
Si: 0.884 0.311 0.000  0.02
Si: 0.250 0.500 0.000  0.03
Si: 0.000 0.116 0.689  0.02
Si: 0.684 0.684 0.684  0.04
Si: 0.811 0.384 0.500  0.02
Si: 0.884 0.689 0.000  0.02
Si: 0.384 0.500 0.189  0.02
Si: 0.684 0.316 0.684  0.04
Si: 0.316 0.684 0.316  0.04
Si: 0.184 0.184 0.816  0.04
Si: 0.116 0.689 0.000  0.02
Si: 0.684 0.684 0.316  0.04
Si: 0.750 0.500 0.000  0.03
Si: 0.500 0.000 0.250  0.03
Si: 0.184 0.816 0.816  0.04
Si: 0.684 0.316 0.316  0.04
Si: 0.500 0.811 0.616  0.02
Si: 0.816 0.816 0.184  0.04
Si: 0.500 0.189 0.616  0.02
Si: 0.189 0.384 0.500  0.02
Si: 0.616 0.500 0.811  0.02
Si: 0.316 0.684 0.684  0.04
Si: 0.000 0.250 0.500  0.03
Si: 0.000 0.884 0.689  0.02
Si: 0.500 0.189 0.384  0.02

Computed properties:
Its space group is Pm-3n (223). As for the density: 3.03 Mg/m³. The value obtained for the total DFT energy (no corrections) is -281.66 eV/cell. As for the density of states at the Fermi level: 14.23 states/eV/f.u. The calculation puts the size of the total moment at 13.1 μB per formula unit.

=====

Record 1
The following is a DFT calculation (PBE with a Hubbard U) of a relaxed BeVSi2O6 crystal.

a b c (Å): 5.3042 6.7087 6.7087
angles (deg): 88.26 73.46 73.46
Each line ends with the local moment (μB).
Fractional coordinates of all 20 atoms:
1 O 0.8148 0.0267 0.2126  -0.01
2 Si 0.8215 0.6058 0.7785  0.01
3 V 0.7500 0.1086 0.8914  2.74
4 O 0.4338 0.3831 0.3172  0.00
5 O 0.9338 0.3172 0.3831  0.00
6 O 0.1852 0.9733 0.7874  -0.01
7 Si 0.3215 0.7785 0.6058  0.01
8 O 0.3148 0.2126 0.0267  -0.01
9 O 0.5563 0.1689 0.6339  0.00
10 O 0.9437 0.3661 0.8311  0.00
11 O 0.4437 0.8311 0.3661  0.00
12 Be 0.2500 0.2012 0.7988  0.00
13 V 0.2500 0.8914 0.1086  2.74
14 O 0.6852 0.7874 0.9733  -0.01
15 Si 0.1785 0.3942 0.2215  0.01
16 O 0.0662 0.6828 0.6169  0.00
17 O 0.0563 0.6339 0.1689  0.00
18 O 0.5662 0.6169 0.6828  0.00
19 Si 0.6785 0.2215 0.3942  0.01
20 Be 0.7500 0.7988 0.2012  0.00

Summary:
Crystal system = monoclinic
Calculated volume = 219 Å³/cell

Even Altrouge's rebellious army came to an abrupt halt, numerous pallid faces turning their gaze skyward, their eyes brimming with despair.

A colossal presence dominated the sky.

A gargantuan planet loomed above.

This was the authentic embodiment of Crimson Moon - the genuine Moon Fall!

Different from the small version of Arcueid, Crimson Moon's Moon Fall emerges as a genuine lunar manifestation capable of launching devastating assaults!

How big is the moon?

With a diameter of approximately 3,476.28 kilometers, it occupies a volume roughly 1/49th that of Earth!

Even a small asteroid, measuring merely 10 kilometers in diameter, possessed the potential to disrupt Earth's ecosystem and trigger the extinction of the once-dominant dinosaurs.

Now, however, an authentic moon looms in the sky, poised for descent.

The implications extend far beyond the catastrophic impact it would inflict upon the Earth—the sheer audacity alone is enough to evoke terror in any observer!

As the moon takes its place in the sky, inhabitants on the European side, spanning Ireland, Britain, Gaul, and the Visigoth territories, turn their gaze upward, beholding the mammoth celestial body that dominates their view.

"What... What is that thing?"

"Oh... My... God..."

Dread gripped the people, compelling them to huddle together, their bodies trembling with fear.

Trhvmn Ortenrosse, the White Wing Lord, directed his gaze towards the moon, and his once fervent heart suddenly turned cold.

"Oh, King... Have you forsaken us as well..."

In a mere moment, his once fiery heart transformed into an icy abyss.

Betrayal and abandonment have been proven to be the most effective extinguishers of passion.

"Lord Ortenrosse, what should we do?" a concerned Dead Apostle inquired.

"The King has forsaken us. We must flee!"

"If we don't depart immediately... We're doomed!"

"But can we truly escape?"

"I don't know..."

The unwavering loyalty of the Dead Apostles had faded away.

The mighty King brazenly abandoned his subjects, prompting the people to disperse in all directions.

Grimacing, Trhvmn Ortenrosse clenched his teeth and urgently proclaimed, "Flee! If we stay, our chances of survival are nonexistent! Run! Each and every one of you, run!"

"But, my Lord..."

"We... we are without a King now," Trhvmn Ortenrosse declared, his voice tinged with solemnity.

The Dead Apostles fell into a brief silence before swiftly scattering in various directions.

Meanwhile, chaos engulfed Altrouge's faction too.

"Princess, we should make a run for it!" an anxious True Ancestor exclaimed.

"We won't stand a chance at escaping!" she clenched her teeth. "If that thing falls, there's no way anyone can get away."

"What do we do then, Princess?" the anxious True Ancestors asked.

"We take a gamble!" Altrouge's face glistened with cold sweat as she gritted her teeth. "We're betting on them—on their ability to defeat Crimson Moon!"

Altrouge's gaze shifted towards the magnificent Tower of Light, her heart silently pleading, 'My life, I'm putting it all on the line for you!'


Crimson Moon loomed high in the sky, utterly indifferent to the chaos unfolding below. "Everyone, meet your demise!"

With a swift motion, the moon-like entity descended, resembling a fiery meteor hurtling towards the earth.

Its colossal size and overwhelming weight inflicted devastating ecological devastation even before making contact with the ground.

The faces of countless people mirrored their despair, realizing that death lurked just within their grasp.

But then—

"Arise before me—!!!"

Zelretch forged a connection between myriad parallel worlds, harnessing an endless surge of magical energy that surged forth like a mighty torrent. Astonishingly, it lifted the colossal moon, measuring 3,476.28 kilometers in diameter.

Crimson Moon couldn't help but be stirred and somewhat taken aback. "This... This, can you truly lift it?"

"Do not underestimate me! Beyond you lies naught but a small moon, while within my grasp lies an infinite expanse of worlds!" Zelretch shouted.

"King Arthur—, now!" Zelretch exclaimed.

"Understood!" Shirou drew forth the holy lance Rhongomyniad from the depths of the earth, channeling the Tower of Light's immense power into a singular focal point. With unwavering determination, he unleashed the true starlight cannon, aiming it directly at Crimson Moon.

Crimson Moon instinctively sought to evade, but Merlin bolstered the suppression field while Zelretch, his voice resonant with an incantation, added his own strength to the suppression, trapping Crimson Moon's fleeing form.

"Boom, boom, boom, boom—"

Accompanied by resounding thunder, the titanic cannon tore through Crimson Moon, propelling towards the boundless expanse of the starry sky.

Crimson Moon's body began to dissipate amidst the radiant brilliance, yet his physical form couldn't be completely destroyed.

"Futile, futile. This light alone cannot eradicate me!" Crimson Moon declared, struggling to break free from the encompassing confines of the large-scale suppression field.

He struggled violently, and the sheer magnitude of the power caused the area around Crimson Moon to quake as though he was on the verge of breaking free from the overwhelming suppression field at any moment.

Shirou couldn't permit such an outcome, for it would render all his efforts futile.

"Artie, unsheathe your sword—!" Shirou called out.

"Yes—, I shall heed your command, my King!"

After being concealed for so long, the Sword of Promised Victory was finally unsheathed from its scabbard.

The fallen warriors on the battlefield, their heroic spirits and unyielding resolve, all converged into a radiant luminosity emitted by the sword.

"No... It can't be! That sword... It is...! Impossible! I have already crushed it!" Crimson Moon's calm expression shattered as it lay eyes on Excalibur in Artoria's hands.

He had been deceived!